== Wanted ==
Say how many lines of the calculation results below hold the word "follow", as a bare number.

== Entries ==
~~~
MgNiO2: theoretical powder diffractogram (Cu Kα, 1.54184 Å), based on a cell relaxed with PBE+U.
Peak positions follow from Bragg's law for the DFT cell and can differ from measured ones.

Crystal structure
a b c (Å): 2.9825 8.0125 8.2693
angles (deg): 89.04 80.71 89.78
Element x y z (fractional)
Mg  0.0000  0.0000  0.0000
Mg  0.0848  0.8149  0.3846
Mg  0.6207  0.3500  0.1445
Mg  0.7076  0.1647  0.5290
Ni  0.0502  0.4835  0.4819
Ni  0.3110  0.3353  0.8420
Ni  0.3939  0.8291  0.6871
Ni  0.6543  0.6813  0.0472
O  0.1051  0.8171  0.1520
O  0.1678  0.4881  0.0374
O  0.2137  0.0020  0.5209
O  0.4939  0.1627  0.0082
O  0.5375  0.6765  0.4917
O  0.5992  0.3475  0.3772
O  0.8084  0.8308  0.8442
O  0.8962  0.3343  0.6851

The 8 most intense peaks (10° ≤ 2θ ≤ 90°), in order of falling intensity:
- d = 3.616 Å, 24.6 deg, I 100, hkl 0 2 1
- d = 2.507 Å, 35.8 deg, I 92, hkl -1 1 1
- d = 2.590 Å, 34.6 deg, I 91, hkl 0 1 3
- d = 8.011 Å, 11.0 deg, I 73, hkl 0 1 0
- d = 2.373 Å, 37.9 deg, I 73, hkl 1 2 0
- d = 2.835 Å, 31.6 deg, I 71, hkl 0 2 -2
- d = 4.006 Å, 22.2 deg, I 70, hkl 0 2 0
- d = 4.080 Å, 21.8 deg, I 63, hkl 0 0 2

---

Ba2YMgFe3O8: theoretical powder diffractogram (Cu Kα, 1.54184 Å), based on a cell relaxed with PBE+U.
Peak positions follow from Bragg's law for the DFT cell and can differ from measured ones.

Crystal structure
a b c (Å): 3.9897 3.9897 15.1814
angles (deg): 90.00 90.00 90.00
Element x y z (fractional)
Ba  0.0000  0.0000  0.2408
Ba  0.0000  0.0000  0.7592
Y  0.0000  0.0000  0.0000
Mg  0.0000  0.0000  0.5000
Fe  0.5000  0.5000  0.1254
Fe  0.5000  0.5000  0.5000
Fe  0.5000  0.5000  0.8746
O  0.0000  0.5000  0.0933
O  0.0000  0.5000  0.5000
O  0.0000  0.5000  0.9067
O  0.5000  0.0000  0.0933
O  0.5000  0.0000  0.5000
~~~

== Completed ==
2